On 15 September, Columbia Broadcasting System (CBS) aired a news segment entitled“Danger in the South China Sea”as part of its 60 Minutes program. In this video, Cecilia Vega reports on a series of recent incidents between China and the Philippines in the South China Sea. She introduces comments from specific U.S. and Philippine officials and experts, criticizing China’s positions and actions.
Unfortunately, the video is based on false or unsubstantiated facts and propagates unfair and biased opinions, misrepresenting China’s position and activities.
When describing the emergence and recent developments in the South China Sea issue, the video follows a linear narrative from a one-sided perspective, disregarding or distorting China’s viewpoint while heavily favoring Philippine political propaganda. The video commences by referencing the“award”of the 2016 South China Sea Arbitration, and classifies the disputed area between China and the Philippines as the Philippines’exclusive economic zone.
It intends to deny the legitimacy of China’s position and activities in the area, portraying the Philippines’provocative behaviour of sending vessels, planes and personnel to Xianbin Jiao as a“desperate”attempt to“safeguard rights”.
Subsequently, the video shifts the audience’s focus to a comparison of the maritime power of China and the Philippines and the damage suffered by the Philippine vessels and personnel. It frequently uses footage captured by the U.S. media that“happened”to be at the scene to create the impression that China is pressing forward and“bullying”its neighbour. It purposefully neglects that China needs respond to the provocation at sea initiated by the Philippines.
Vega also discusses the applicability of the U.S.-Philippines Mutual Defence Treaty concerning the Sino-Philippine dispute in interviews with a retired U.S. military officer. The video makes plausible references to potential treaty-based “obligations” of the United States to assist the Philippines under specific circumstances but confusingly attributes their enforceability to the political will of the parties in the United States.
'''
# 1
{
  "formula": "C5H12N2O",
  "method": "ωB97M-V with the def2-TZVPD basis set",
  "e_above_lowest_kj_mol": 199.5,
  "mol_weight_g_mol": 116.2,
  "orbital_gap_ev": 9.25,
  "symbols": ["C", "C", "C", "C", "C", "N", "N", "O", "H", "H", "H", "H", "H", "H", "H", "H", "H", "H", "H", "H"],
  "xyz": [[0.491, -0.143, -0.383], [-1.334, -0.357, 1.230], [0.151, 0.084, 1.102], [0.808, 1.179, -1.093], [1.621, -1.142, -0.584], [-0.748, -0.758, -0.893], [-1.851, -0.288, -0.134], [-2.076, 0.379, 2.141], [-2.074, 1.309, 1.884], [-0.905, -0.588, -1.880], [-2.060, 0.702, -0.344], [-1.402, -1.400, 1.552], [0.223, 1.135, 1.360], [0.786, -0.484, 1.770], [1.099, 0.992, -2.128], [1.629, 1.690, -0.590], [-0.057, 1.846, -1.099], [1.816, -1.287, -1.650], [1.351, -2.102, -0.150], [2.532, -0.769, -0.111]]
}

# 2
{
  "formula": "C31H41ClCuN8OSi3",
  "method": "ωB97M-V with the def2-TZVPD basis set",
  "e_above_lowest_kj_mol": 155.5,
  "mol_weight_g_mol": 725.0,
  "spin_multiplicity": 2,
  "s_squared": 0.754,
  "orbital_gap_ev": [6.64, 6.52],
  "symbols": ["Cu", "Cl", "C", "C", "C", "C", "O", "C", "C", "N", "C", "C", "C", "C", "C", "C", "C", "C", "N", "C", "C", "H", "H", "H", "H", "H", "H", "H", "H", "H", "H", "C", "Si", "C", "C", "C", "Si", "C", "C", "C", "Si", "C", "C", "C", "C", "C", "C", "C", "N", "H", "H", "H", "H", "H", "H", "H", "H", "H", "H", "H", "H", "H", "H", "H", "H", "H", "H", "H", "H", "H", "H", "H", "H", "H", "H", "H", "H", "N", "N", "N", "C", "N", "N", "H", "H", "H"],
'''
The first thing is that China was the first State to discover, name, exploit Nanhai Zhudao (the South China Sea Islands), and exercise sovereignty, sovereign rights and jurisdiction over them and the adjacent waters.
China undeniably holds territorial sovereignty and maritime rights and interests in the South China Sea, including certain areas west of the Philippine Islands. The“award”of the South China Sea Arbitration was based on the lack of jurisdiction of the ad hoc arbitral tribunal and the inadmissibility of the Philippines’request, and is therefore unlawful, invalid and non-binding. There are territorial and maritime disputes between China and the Philippines in the regions concerned, and there are undoubtedly several Chinese islands and a significant maritime area under Chinese jurisdiction west of the Philippine Islands, which cannot be legally classified as part of the Philippine exclusive economic zone.
Moreover, the losses incurred by Philippine vessels and personnel in their activities in Renai Jiao and Xianbin Jiao, among others, are solely of their own making and not, as the video implies, due to China’s oppression or “bullying”.
The United Nations Convention on the Law of the Sea enshrines the obligation of States parties to settle disputes peacefully without aggravating them. The Declaration on the Conduct of Parties in the South China Sea (DOC), signed by China and ASEAN countries, also emphasizes the peaceful settlement of disputes by all parties, and the requirements of exercising self-restraint to maintain regional peace and stability in the South China Sea.
Records of molecules from another source follow:
~~~
# 1
DFT (the ωB97M-V functional and the def2-TZVPD basis) results for an isolated molecule of C3H3N5 at a distorted geometry.

Computed properties:
* energy above the lowest of the compared OMol25 structures with the same formula, charge and spin: 4.7650 eV
* HOMO: -9.3499 eV
* SMILES string: [H]/N=c1/ncncnn1
* orbital gap: 8.75 eV

Last column: natural (NBO) charge in e.
Geometry (Å):
1 H 2.440 -0.885 1.082  0.35
2 N 1.995 -0.033 0.919  -0.63
3 C 1.139 -0.089 -0.156  0.47
4 N 0.661 1.109 -0.787  -0.45
5 C -0.551 1.432 -0.210  0.28
6 N -1.274 0.717 0.694  -0.47
7 C -1.349 -0.532 0.628  0.24
8 N -0.876 -1.326 -0.491  -0.13
9 N 0.275 -1.197 -0.784  -0.10
10 H -1.343 2.044 -1.069  0.22
11 H -2.001 -0.915 1.561  0.23

***

# 2
DFT (the ωB97M-V functional and the def2-TZVPD basis) results for the ion C4H7N4 with charge +1 at a distorted geometry.

Computed properties:
* net charge: +1
* energy above the lowest of the compared OMol25 structures with the same formula, charge and spin: 4.5248 eV
* HOMO (alpha / beta): -14.4456 / -14.4447 eV
* SMILES string: [H]/N=C/N(C)/[NH+]=C\C#N
* orbital gap (alpha / beta): 8.36 / 8.36 eV

Last column: natural (NBO) charge in e.
Geometry (Å):
1 H -0.010 -2.969 0.113  0.40
2 N -0.417 -2.069 0.239  -0.55
3 C 0.132 -1.042 -0.226  0.20
4 N -0.626 0.176 -0.105  -0.16
5 C -1.977 0.076 0.278  -0.47
6 N 0.126 1.186 -0.073  -0.12
7 C 1.394 1.247 -0.257  -0.03
8 C 2.444 0.350 -0.033  0.14
9 N 3.393 -0.227 0.255  -0.11
10 H 0.977 -1.102 -0.788  0.21
11 H -2.320 0.867 0.907  0.24
12 H -2.663 0.113 -0.610  0.24
13 H -1.903 -0.913 0.794  0.30
14 H -0.287 2.057 -0.216  0.44
15 H 1.737 2.250 -0.276  0.27

***

# 3
DFT (the ωB97M-V functional and the def2-TZVPD basis) results for the ion C5H8N with charge +1 at a distorted geometry.

Computed properties:
* net charge: +1
* energy above the lowest of the compared OMol25 structures with the same formula, charge and spin: 4.1179 eV
* HOMO (alpha / beta): -11.4361 / -15.6707 eV
* expectation value of S²: 2.01
* spin multiplicity: 3
* orbital gap (alpha / beta): 8.22 / 7.47 eV

Last column: Löwdin spin population.
Geometry (Å):
1 C -0.809 1.169 -0.533  0.44
2 C -0.392 0.253 0.140  0.32
3 C -0.480 -1.562 1.685  0.66
4 C -0.933 2.172 -1.490  0.11
5 C 1.600 -1.154 0.168  0.00
6 N -0.023 -0.871 0.712  0.35
7 H 0.068 -2.410 2.037  0.04
8 H -1.491 -1.321 2.043  0.03
9 H -1.618 2.118 -2.272  0.03
10 H -1.425 2.915 -0.906  0.03
11 H 0.033 2.265 -1.814  0.00
12 H 1.623 -1.067 -0.856  0.00
13 H 1.841 -2.135 0.351  0.00
14 H 2.005 -0.372 0.736  0.00

***

# 4
DFT (the ωB97M-V functional and the def2-TZVPD basis) results for a structure of composition C28H56AsN4ORh.

Computed properties:
* net charge: +2
* energy above the lowest of the compared OMol25 structures with the same formula, charge and spin: 0.0000 eV
* HOMO (alpha / beta): -12.4311 / -12.4237 eV
* expectation value of S²: 6.02
* spin multiplicity: 5
* orbital gap (alpha / beta): 8.19 / 3.90 eV

Last column: Löwdin spin population.
~~~
End of the records of molecules:
Nevertheless, in violation of international law and the DOC, the Philippines persistently provokes and instigates friction in Ren’ai Jiao, Xianbin Jiao and Huangyan Dao to alter the status quo and expand its unlawful control, including attempts to establish a long-term military presence on the“no personnel or facility” islands.
To uphold the seriousness and effectiveness of the DOC and safeguard the overall peace and stability in the South China Sea, China has responded proportionately to the Philippines’unlawful actions and radical moves in accordance with international law. The vessel collisions between China and the Philippines at Xianbin Jiao and other locations were a result of the Philippines’ insistence on unsafe manoeuvres despite repeated warnings from Chinese vessels. This represents the true sequence of events in the recent incidents in the South China Sea.
It is evident that this video contains factual errors and deliberate omissions, and logical inconsistencies such as reversing causation. It is unethical and malicious to tarnish China’s international reputation and endorse the Philippines’ radical decisions and actions at sea, deviating from the objectivity, comprehensiveness, and impartiality that should underpin media reporting.
Regarding the South China Sea issue, China remains committed to preserving peace and stability in the region, and to settling disputes peacefully through negotiation and consultation in accordance with international law on the basis of respect for historical facts. In practice, China consistently upholds these principles, exercising self-restraint and refraining from exacerbating conflicts or escalating tensions.
# Unrelated to this piece: data records
********
The following is a quantum chemistry calculation of a 2-piece molecular cluster, C12H12 overall, from the Open Molecules 2025 dataset.

Geometry as XYZ:
```
24
C12H12, DFT ωB97M-V/def2-TZVPD
C -1.085 -2.579 0.720
C -0.679 -2.166 1.963
C 0.560 -1.735 2.266
C 1.585 -1.890 1.290
C 1.296 -2.390 0.040
C -0.071 -2.748 -0.213
H -2.071 -2.855 0.415
H -1.438 -1.753 2.673
H 0.811 -1.430 3.266
H 2.593 -1.585 1.610
H 2.122 -2.458 -0.728
H -0.315 -3.248 -1.174
C -0.096 2.139 -2.377
C 0.084 0.985 -1.613
C -0.076 1.140 -0.183
C -0.376 2.359 0.343
C -0.714 3.429 -0.434
C -0.499 3.403 -1.834
H 0.175 2.130 -3.438
H 0.196 0.032 -2.061
H 0.078 0.351 0.487
H -0.331 2.400 1.395
H -0.840 4.379 0.177
H -0.563 4.346 -2.438
```

Values from the calculation:
- Relative energy (zero: lowest compared OMol25 entry of this formula, charge and spin): 1.520 eV
- Molecular weight: 156.23 g mol⁻¹
- SMILES: c1ccccc1.c1ccccc1
- Maximum force: 4.39 eV/Å
- E_HOMO: -9.04 eV
- Frontier orbital gap: 10.012 eV
- E: -464.416190 Eh

---

The following is a quantum chemistry calculation of a 2-piece molecular cluster, C12H12F3OS2 overall, from the Open Molecules 2025 dataset.

Geometry as XYZ:
```
30
C12H12F3OS2, DFT ωB97M-V/def2-TZVPD
C 1.781 3.361 1.798
C 1.599 1.850 1.897
C 0.912 1.341 0.629
O 1.542 0.908 -0.327
C -0.536 1.811 0.503
C -0.543 3.318 0.264
S 0.245 4.292 1.572
H 2.211 3.753 2.731
H 2.456 3.619 0.970
H 2.580 1.366 1.956
H 1.028 1.612 2.805
H -0.980 1.308 -0.363
H -1.130 1.565 1.395
H -0.040 3.560 -0.684
H -1.575 3.692 0.213
F -3.235 -1.472 -2.110
C -2.415 -2.541 -2.332
F -3.157 -3.673 -2.107
F -2.096 -2.532 -3.663
C -1.189 -2.516 -1.448
C -0.084 -3.289 -1.799
C 1.050 -3.279 -0.975
C 1.093 -2.488 0.159
C -0.036 -1.705 0.517
S 0.009 -0.733 1.873
C -1.203 -1.760 -0.291
H -0.110 -3.890 -2.705
H 1.910 -3.891 -1.244
H 1.984 -2.409 0.777
H -2.071 -1.176 -0.010
```

Values from the calculation:
- Molecular weight: 293.35 g mol⁻¹
- Maximum force: 2.07 eV/Å
- E_HOMO: -3.42 eV
- Frontier orbital gap: 6.272 eV
- Net charge: -1
- E: -1635.764980 Eh

---

The following is a quantum chemistry calculation of a 4-piece molecular cluster, C12H12F4O12 overall, from the Open Molecules 2025 dataset.

Geometry as XYZ:
```
40
C12H12F4O12, DFT ωB97M-V/def2-TZVPD
O -0.921 -10.477 4.037
C -1.683 -9.587 4.177
O -2.809 -9.646 4.925
C -3.497 -8.397 4.837
C -2.450 -7.476 4.223
F -1.744 -6.827 5.222
O -1.573 -8.353 3.601
H -4.333 -8.518 4.148
H -3.824 -8.075 5.821
H -2.832 -6.708 3.559
O -6.115 -7.893 7.428
C -6.208 -8.876 8.079
O -6.342 -10.128 7.603
C -6.674 -10.992 8.705
C -6.061 -10.240 9.864
F -4.723 -10.546 9.976
O -6.177 -8.912 9.451
H -7.764 -11.008 8.798
H -6.322 -11.993 8.486
H -6.531 -10.364 10.834
O 0.082 -6.867 9.373
C -0.542 -7.837 9.106
O -0.866 -8.253 7.869
C -1.613 -9.457 7.944
C -1.428 -9.886 9.395
F -0.380 -10.767 9.493
O -1.053 -8.699 10.035
H -2.666 -9.358 7.678
H -1.170 -10.170 7.249
H -2.301 -10.325 9.866
O 4.065 -9.717 7.037
C 3.418 -8.835 6.592
O 3.893 -7.595 6.275
********
# Here the piece continues
Undoubtedly, the real“Danger in the South China Sea”has never been China, but extraterritorial powers sowing discord and wagging their tongues and certain regional members which deliberately escalate tensions for selfish reasons.
(Author: Chen Xidi, Researcher of China Institute for Marine Affairs, Ministry of Natural Resources)